News ``I don't want to go back to a difficult time'' Amami Oshima: Concerns over the spread of infection in the tourism industry

Amami Oshima, where vigilance against the spread of new corona infections has increased since the beginning of the year = 6th, Amami City, Kagoshima Prefecture


 In Amami Oshima, Kagoshima Prefecture, where the number of people infected with the new coronavirus is increasing, there are widespread voices of concern about the impact on economic activity. Until now, we have heard earnest voices from people involved in the tourism industry who have been greatly affected by large-scale infections, saying, "I don't want to go back to the difficult times of the year before and last year." Some facilities have begun to cancel reservations, raising concerns about the spread of infection. Since October 1, 2018, when the national state of emergency was declared and key measures to prevent the spread of the virus were lifted, travel demand has recovered thanks to factors such as World Natural Heritage registration. Amami Oshima's tourism industry was regaining its vitality, but anxiety gradually increased around the end of last year when a new mutant strain, the Omicron strain, began to spread across the country. On the 6th, when 61 new infections were announced in the prefecture, a hotel official on the island said, ``I was expecting and prepared for the spread of the infection to the island, but it happened earlier than I expected. The infection situation on the island is a big shock. I've been having a hard time since the year before last, and I'm finally getting better, so if possible, I don't want to go back." The hotel has not canceled any accommodation reservations due to COVID-19 until the 6th, but it is said that new reservations for banquets are slowing down. "Car rental companies are also beginning to be affected." Mitsuyoshi Fukuhara, 48, a staff member of Orix Rent-A-Car in Kasari-cho, Amami City, said, "At the moment, the impact is not large, but cancellations are becoming more noticeable. The situation has been the same since the beginning of the coronavirus, so I don't think there is much. I'm trying to think positively without worrying about it.In the store, we are asking people to measure their temperature, disinfect, and wash their hands. At the Kuroshio Forest Mangrove Park in Sumiyocho, Amami City, where canoeing is popular, the number of group tour cancellations has increased since the beginning of the year. "It's gotten better thanks in part to its registration as a World Natural Heritage Site," said Yoshito Inamoto, 61, manager of the management section with a sigh. The number of customers has been steadily returning since October last year when the state of emergency was lifted, and there were tour reservations almost every day in January. "It's a pity that people came all the way to Amami and couldn't enjoy canoeing. If an infected person comes out of the facility, it will be closed. I want to take measures to prevent infection, focusing on wearing masks, washing hands, and ventilation." Told. Tourists are also enjoying sightseeing on the island while paying attention to measures against infectious diseases. A woman in her 30s who came to the island with her family for 3 nights and 4 days said, "I've been planning a trip since December. I think I'll avoid the crowds and go sightseeing," he said.

Inserted here: materials data =
Compound: CaMn2WO6
Source: the Alexandria database
Functional: PBE with a Hubbard U
Structure: optimized geometry

a = 5.300 Å, b = 5.350 Å, c = 5.796 Å
α = 62.72°, β = 63.94°, γ = 60.73°
Space group P1 (No. 1)
Unique sites:
Ca 0.000 0.000 0.000
Mn 0.205 0.197 0.387
Mn 0.723 0.728 0.822
W 0.517 0.526 0.439
O 0.136 0.801 0.634
O 0.340 0.553 0.185
O 0.411 0.137 0.636
O 0.553 0.923 0.178
O 0.791 0.427 0.635
O 0.925 0.332 0.185

Calculated density in g/cm3: 5.830
Raw total energy in eV/atom: -7.3431

Nankai Nichinichi Shimbun of Amami

Last update: Nankai Nichinichi Shimbun